People sometimes ask me to explain the difference between lean production and six sigma. The question is usually
phrased something like, "Should I use six sigma or lean production methods to improve my operations?" Before I tell you my answer, let me provide a brief background on these different
approaches to process improvement. Lean production is based on the Toyota Production System and usually includes the elements shown in Figure 1. When properly implemented, a
lean production system can dramatically improve productivity (by as much as 95 percent when compared with traditional batch-and-queue production systems).
Figure 1: Elements of Lean Production |
Lean production dates back to the post-World War II era in Japan. It was developed by Taiichi Ohno, a Toyota production executive, in response to a number of problems that
plagued Japanese industry. The main problem was that of high-variety production, required to serve the domestic Japanese market. Mass-production techniques, which were developed by Henry Ford to
(Here the text breaks off for records of molecules)
C5H8O | ωB97M-V with the def2-TZVPD basis set

```
14
Properties=species:S:1:pos:R:3:forces:R:3:lowdin_charge:R:1
C -2.0975 0.0012 -1.2293 -0.8319 0.8388 -0.9934 -0.12
C -1.1860 -0.6143 -0.2702 1.8189 0.3472 1.9837 -0.14
C 0.0832 -0.2410 0.0346 -0.4227 -0.7397 -2.4144 -0.39
O 0.8128 0.4553 -0.8945 -2.2518 2.8335 -1.4183 -0.01
C 0.9829 -0.4622 1.1141 -2.5336 -0.1635 2.8235 -0.14
C 1.7821 0.5114 1.5195 1.2124 1.3847 -0.4386 0.03
H -2.5159 -0.8626 -1.8161 -0.1813 1.2841 0.2017 0.09
H -1.6166 0.7542 -1.9246 -0.6556 -0.9179 0.5590 0.08
H -2.8926 0.5597 -0.6053 0.8468 -0.9446 -1.3217 0.11
H -1.7126 -1.2729 0.3753 -0.0503 -0.5123 0.9291 0.09
H 0.1065 1.0983 -1.2227 1.8553 -0.9875 -0.1778 0.12
H 0.4762 -0.9788 1.9406 1.0951 -1.2096 -0.2262 0.12
H 1.8617 1.5002 1.0061 0.3460 -1.2815 0.0493 0.09
H 2.4027 0.3893 2.3915 -0.2471 0.0683 0.4441 0.06
```
Positions in Å, forces in eV/Å.

Properties
- Relative energy (zero: lowest compared OMol25 entry of this formula, charge and spin): 2.7628 eV
- HOMO energy: -8.0726 eV
- Electronic energy: -7359.492 eV
- Strongest force on any atom: 3.89 eV/Å
- SMILES string: C=C/C(O)=C/C

=====

C27H17BrIN6NdO3 | ωB97M-V with the def2-TZVPD basis set

```
56
Properties=species:S:1:pos:R:3:forces:R:3:lowdin_charge:R:1
Nd -1.4472 1.9293 0.0298 -0.7685 -2.1504 1.7533 1.58
O 2.1411 4.0957 -1.6195 -1.3022 -0.9869 1.4681 0.09
C 1.3594 3.4880 -0.8839 1.6198 0.2803 -1.4290 -0.41
N -0.0254 3.4713 -0.9415 -0.1687 0.1166 0.3160 -0.07
C -0.6736 4.5676 -1.4197 1.8804 2.3014 -0.6408 -0.44
O -0.0846 5.5640 -1.8555 -1.5857 -1.0383 0.3473 0.08
C -2.1821 4.6166 -1.3075 -1.8304 -0.5818 -0.7321 -0.16
C -2.8874 5.6409 -1.9528 2.4817 0.8318 -0.4794 0.00
C -4.2216 5.8417 -1.7776 -1.4185 0.0858 0.9759 -0.02
C -4.9402 4.9060 -1.0045 0.8562 0.9367 -0.8352 -0.02
C -4.2557 3.7637 -0.7306 0.8679 -0.7065 0.6444 -0.12
N -2.9151 3.5998 -0.7630 -0.0431 1.6968 -1.2515 -0.08
C 1.9164 2.4874 0.1313 1.2120 -1.8836 -1.6987 -0.17
C 3.2885 2.0627 0.0509 0.0655 1.5903 -0.0405 0.02
C 3.7423 1.0858 0.9509 -0.5730 0.2312 0.2582 -0.05
C 2.7989 0.4856 1.8053 0.0584 -0.1189 0.2776 -0.03
C 1.4518 0.9328 1.7653 2.9479 -0.7076 -1.7438 -0.11
N 1.0172 1.7652 0.8180 0.1449 1.3005 1.0344 -0.03
H -2.2683 6.3417 -2.5503 -0.5458 -0.4804 0.5523 0.14
H -4.6888 6.7334 -2.1910 0.0159 -0.2309 0.0816 0.12
H -5.9379 4.9746 -0.5980 -0.2549 0.2440 -0.6766 0.12
H -4.8396 2.9175 -0.4947 -0.2359 -1.0345 0.9164 0.11
H 3.9931 2.5915 -0.6856 -1.2952 -0.7715 1.3583 0.15
H 4.8133 0.8515 1.0950 -0.7671 -0.0431 -0.5959 0.12
H 3.1410 -0.3746 2.4591 -0.7222 1.4415 -0.5340 0.12
H 0.7761 0.5553 2.4443 -1.6886 -0.9121 1.1889 0.08
Br 2.4271 -5.9509 5.6414 -0.3983 -0.1388 -1.1840 0.67
C 2.2102 -5.5570 3.7403 0.9164 0.7805 0.5461 -0.64
C 1.3105 -6.1536 2.8742 -0.3326 -1.0816 2.5583 -0.14
C 1.2147 -5.7858 1.5776 -0.3905 1.5953 -2.1346 -0.04
C 1.8360 -4.5923 1.1157 2.0583 -0.1196 2.7957 -0.24
C 2.7453 -3.9354 2.0503 -1.7321 -1.0359 -2.2498 -0.03
C 2.9680 -4.4886 3.2811 1.4801 1.2421 1.1871 -0.18
economically produce long runs of identical products, were ill-suited to Toyota's situation. The lean approach (the term "lean" was coined in the early 1990s by MIT
researchers) systematically minimizes waste--called muda--in the value stream. Muda includes all types of defective work, not just defective products. Wasted
time, motion and materials are also muda. OK, so how does this relate to six sigma? To make a valid comparison, we
need a new definition of quality itself. By defining quality in terms of value rather than in terms of defects, we can see that six sigma quality involves a search for ways to reduce muda
. I propose the following definition for six sigma:
A general approach to reducing muda in any environment
A collection of simple and sophisticated methods for analyzing complex cause-and-effect relationships
A means of discovering opportunities for improvement
The lean approach offers a set of solutions to
muda in a high-variety production environment. Six sigma applies to the problems addressed by lean but also seeks to solve other problems common to production. However,
Calculated molecules, as found in the file:
********
The following is a quantum chemistry calculation of one molecule with the formula C3H3N5, from the OMol25 dataset.

For the HOMO-LUMO gap, the calculation gives 8.45 eV. The energy relative to the best compared isomer or geometry (same formula, charge and spin) is 1.936 eV. The structure (SMILES) is [H]/N=c1/ncncnn1. The calculation puts the calculated total energy at -389.79752 hartree. The calculation puts the strongest force on any atom at 2.07 eV Å⁻¹.

Cartesian coordinates (Å):
C  1.172470  0.233315  -0.108079
C  -0.864994  1.285826  -0.335079
C  -1.204271  -0.875000  0.334022
H  2.506006  -0.689445  0.750031
H  -1.433290  2.153713  -0.650495
H  -1.740799  -1.611341  0.906563
N  2.174060  0.245186  0.623119
N  0.415023  1.372539  -0.551525
N  -1.589378  0.348525  0.383473
N  -0.271197  -1.460168  -0.513760
N  0.836373  -1.003145  -0.838273

Atomic forces in eV per Å
C -0.3230 0.6122 -1.4592
C 1.2954 0.9754 -0.0925
C 0.0421 0.5721 0.4050
H 0.6430 -0.7181 -0.0841
H -0.1863 -0.1006 -0.0855
H -0.1804 -0.1979 0.1745
N -0.0999 1.0988 1.0389
N -0.6560 -1.8256 0.7168
N 0.4519 -0.3829 -0.4252
N 0.3214 -0.8931 -0.8083
N -1.3081 0.8597 0.6194

---

The following is a quantum chemistry calculation of a 2-piece molecular cluster, C5H10O overall, from the OMol25 dataset.

For the HOMO-LUMO gap, the calculation gives 10.86 eV. The energy relative to the best compared isomer or geometry (same formula, charge and spin) is 3.153 eV. The structure (SMILES) is C1CC1.CC=O. The calculation puts the calculated total energy at -271.63676 hartree. The calculation puts the strongest force on any atom at 2.54 eV Å⁻¹.

Cartesian coordinates (Å):
O  -2.120902  0.746390  1.056547
C  -1.020197  1.145652  1.374619
C  -0.051439  1.694810  0.438574
C  0.130406  -0.868539  0.051702
C  0.994442  -0.714743  -1.174717
C  0.152595  -1.937036  -0.976687
H  -0.852222  -0.428231  0.155156
H  -0.667638  1.233649  2.417908
H  -0.648288  2.608767  0.897666
H  1.025336  1.672269  0.659027
H  -0.252639  1.586400  -0.627672
H  0.652465  -1.029947  0.994519
H  0.730397  -0.013721  -1.964824
H  2.068374  -0.824898  -1.033308
H  -0.754271  -2.000556  -1.571263
H  0.613582  -2.870267  -0.697249

Atomic forces in eV per Å
O -0.0251 0.3155 0.6734
C -0.3428 -1.3043 0.2125
C -0.8150 2.0214 0.4755
C -0.1288 -0.6698 -0.0124
C 0.0537 0.0971 -0.0317
C 0.0228 -0.5709 -0.1005
H 0.6613 -0.2484 -0.5237
H -0.3388 -0.1256 0.2423
H 1.9491 0.6357 -1.4939
H -0.6882 0.2667 0.3761
H -0.2703 0.1520 0.4263
H -0.1197 -0.0895 -0.1695
H -0.0577 -0.1560 0.1924
H -0.2416 0.0494 0.0198
H 0.2048 -0.1929 0.0579
H 0.1365 -0.1802 -0.3444

---

The following is a quantum chemistry calculation of an isolated ion of composition C11H9N2O2 and charge -1, from the OMol25 dataset.
********
End of the calculated molecules:
because both six sigma and lean address the problem of muda, there is a great deal of overlap. The approaches should be viewed as complements to one
another. Some examples of this synergism are shown in Table 1. Table 1: The Synergy of Six Sigma and Lean Production
If you're facing a situation where lean solutions can be used (e.g., high-variety
production), you shouldn't hesitate to implement lean: It offers proven solutions to known problems. Six sigma methods will help you with lean, and they will
== Next to the page, the page also holds molecular data ==
<<<
(1)
A structure of composition C41H32NOP2PtS, computed with ωB97M-V/def2-TZVPD.

The largest force on an atom comes out at 0.3 eV/Å. The relative energy (zero: lowest compared OMol25 entry of this formula, charge and spin) comes out at 19.1 kJ/mol. The energy is -2910.80691 a.u. Its net charge is +3. The HOMO energy (spin up / spin down) is -16.08 / -16.43 eV. For the HOMO-LUMO gap (spin up / spin down), the calculation gives 0.29556 / 0.17766 hartree. Its spin multiplicity is 5.

Positions of all 79 atoms, in Å:
1 Pt -0.30645 0.44375 -0.08864
2 S -2.61049 1.31566 0.20037
3 P -0.12736 -0.44824 -2.30094
4 P 0.20774 -0.22633 2.17128
5 O 0.30634 -2.15097 -0.01926
6 N -0.41773 2.59582 0.20470
7 C 0.75532 1.92423 -5.46066
8 C 0.13637 -2.81780 1.18601
9 C -2.66686 0.18467 -3.10134
10 C -0.06723 -2.58061 3.57686
11 C 1.71668 1.50054 -2.87879
12 C 1.84404 0.39895 2.44373
13 C -3.94522 -0.11497 -3.52963
14 C -2.28730 4.00804 0.77853
15 C 0.41484 3.61261 0.33753
16 C 2.57465 -3.28241 -3.31658
17 C 1.69832 -2.21544 -3.37531
18 C -1.82835 1.73097 5.13779
19 C 3.40168 2.17359 2.90988
20 C 2.09555 1.73926 2.77046
21 C 2.34877 2.40732 -3.70773
22 C -3.40198 0.48556 3.80377
23 C -1.74775 2.78013 0.41886
24 C 2.91267 -0.47855 2.20713
25 C -1.75658 -0.85700 -2.84956
26 C -0.27731 -4.73144 2.53909
27 C 4.21493 -0.02820 2.33786
28 C -0.77969 1.28286 4.34082
29 C 0.94239 -1.87318 -2.24875
30 C -0.05634 4.88276 0.70039
31 C -3.43060 -2.47829 -3.43619
32 C -0.24271 -3.94723 3.68679
33 C 1.86635 2.61792 -4.99708
34 C -2.14573 -2.19129 -3.00556
35 C -1.04555 0.45061 3.25556
36 C 2.73330 -3.97154 -2.12020
37 C -4.32439 -1.44610 -3.69520
38 C 1.08864 -2.60573 -1.07394
39 C 2.00157 -3.63708 -0.98508
40 C -2.36474 0.03316 3.00364
41 C 0.12829 -2.00524 2.31768
42 C 0.59412 0.79985 -3.34147
43 C -1.40711 5.07915 0.92312
44 C -0.09691 -4.17551 1.27796
45 C -3.13323 1.34731 4.86286
46 C 0.10809 1.01782 -4.63649
47 C 4.45804 1.29223 2.69630
48 H -2.56667 -0.70618 2.23561
49 H -0.15218 -4.79153 0.39186
50 H 3.44685 -4.78265 -2.05915
51 H 2.15924 -4.17097 -0.06026
52 H 2.11133 1.30906 -1.88526
53 H -5.32451 -1.67843 -4.03665
54 H 3.22327 2.94289 -3.36407
55 H -4.41298 0.14681 3.62039
56 H 2.36723 3.32211 -5.64813
57 H -0.08803 -1.95833 4.46325
58 H 1.46322 3.42389 0.14677
59 H 5.04017 -0.70826 2.17710
60 H -3.73426 -3.50603 -3.58075
61 H -3.94054 1.69450 5.49385
62 H 3.60248 3.19696 3.19759
63 H -1.61856 2.36670 5.98747
64 H 1.60432 -1.64015 -4.28824
65 H 0.64651 5.69900 0.79769
66 H -1.77976 6.05589 1.20201
67 H -2.35835 1.21964 -2.99764
68 H 2.72406 -1.51593 1.95896
69 H -4.64607 0.67915 -3.74836
70 H -0.75421 0.47569 -5.00121
71 H 1.28197 2.43573 2.92415
72 H 0.39707 2.08503 -6.46832
73 H -0.45874 -5.79488 2.62185
74 H 3.14921 -3.56028 -4.18870
75 H -3.35276 4.11543 0.93080
76 H 0.23291 1.55795 4.59889
77 H -0.37680 -4.39834 4.65984
78 H -1.44306 -2.99330 -2.81744
79 H 5.47657 1.63718 2.81555



(2)
>>>
help you continue to improve when it's time to move into administrative and other nonproduction areas. About the author
Thomas Pyzdek is the author of The Complete Guide to Six Sigma ( )
and a consultant in six sigma. Visit his Web site at for more information on six sigma. E-mail him at Tom Pyzdek . |